High Speed Home Sale

Six Simple Steps & Three Magic Words To Instantly Sell Your House For Top Dollar In Any Market

Erica Alston

Copyright © 2007 by Erica Alston.

All rights reserved.

Published by Lulu.com.

ISBN: 978-1-4303-2187-3

No part of this publication may be reproduced, stored in a retrieval system, or transmitted in any form or by any means, electronic, mechanical, photocopying, recording, scanning, or otherwise except as permitted under Section 107 or 108 of the 1976 United States Copyright Act, without the prior written permission from the author or publisher.

Limit of Liability/Disclaimer of Warranty: While the publisher and the author have used their best efforts in preparing this book, they make no representations or warranties with respect to the accuracy or completeness of the contents of this book and specifically disclaim any implied warranties of merchantability or fitness for a particular purpose. No warranty may be created or extended by sales representatives or written sales materials. The advice and strategies contained herein may not be suitable for your situation. You should consult with a professional where appropriate. Neither the publisher nor author shall be liable for any loss of profit or any other commercial damages, including but not limited to special, incidental, consequential, or other damages.


Chapter 1 (Introduction) ……………………….…5

Chapter 2 (Getting Started) …………………...…15
Clean-up Checklist ………………...…..23

Chapter 3
(Should You Use A Realtor Or Go “FSBO”?) ….33
Reasons To Go “FSBO”…………….…33
Reasons To Use A Realtor…………...... 35

Chapter 4 (Inspections & Appraisals) ………..….40

Chapter 5
(Marketing & Advertising) …………….………..42
Classified Ads………………………….44
Bulletin Boards/Posters……………..…44
Internet Ads…………………..………...49
Open Houses………………..………….49

Chapter 6 (Staging Your House) ………………...51

Let There Be Light………….…………58
Make It Inviting……………………….58
Make It Comfortable………………….59
Appeal To The Senses………………...59
Clean Is The Key Word……………….60
Beautiful Bathrooms…………………..60
The Great Outdoors……………...... 61

Chapter 7
(Open House Success) …...... 64
Open House Safety Tips……………….65
Parking & Curb Appeal………………..67
Show Your Stuff……………………….68
Pleasant & Inviting…………………….69
Contracts & Forms…………………….69

Calculated crystals, as found in the file:
=====
Structure and simulated XRD peak list of Dy2Ni4Ir3 (a crystal structure in Alexandria, relaxed with GGA-PBE; λ = 1.5418 Å (Cu Kα)).

Crystal structure
abc: 7.7330 6.7391 5.2277
angles: 79.41 58.94 41.65
Atoms (fractional coordinates):
Dy: 0.1379 0.1379 0.8621
Dy: 0.8621 0.8621 0.1379
Ni: 0.1483 0.5144 0.4856
Ni: 0.4856 0.8517 0.1483
Ni: 0.5144 0.1483 0.8517
Ni: 0.8517 0.4856 0.5144
Ir: 0.0000 0.0000 0.5000
Ir: 0.5000 0.5000 0.0000
Ir: 0.5000 0.5000 0.5000

Largest 6 diffraction maxima, in order of rising 2θ, 2θ from 15° to 90°:
- 29.41°, intensity 60
- 39.46°, intensity 40
- 40.59°, intensity 51
- 40.78°, intensity 100
- 43.21°, intensity 62
- 43.51°, intensity 39
=====

Chapter 8 (The Sellers’ Open House)…………....71
Be Prepared For Questions……………..75
Common Questions…………………….76
Exit Interview…………………………..79

Chapter 9 (The Sellers Find A Buyer)…………...83

Chapter 10 (Our Special Program) …...... 85
Be Unique……………………………...86
No Negotiations,
No Price Reductions…………………...87
Top Dollar Offers……………………...87
Maintain Full Price……………………88
Sell As-Is………………………………89
Unlimited Pool of
Potential Buyers……………………….90
Easy Pre-Approval…………………….92

Chapter 11 (Six Simple Steps) ……………….97
Step One……………………………98
Step Two……………………….....103
Step Three………………………...105
Step Four………………………….117
Step Five………………………….124
Step Six…………………………...139

Chapter 12
(Frequently Asked Questions) …………………149



If you’ve ever sold or attempted to sell real estate before, you know firsthand how stressful it can be to have your property sit on the market for months with no prospect of a sale any time soon. With this book, you will learn how to sell your house instantly and for full value in any market. We’ll get started by making sure that your house looks its absolute best before it goes on the market. That way, it can attract as many potential buyers as possible. When the house is ready to go on the market, you will have it professionally appraised to determine the best list price. Then, you will list your home for sale and officially launch your marketing campaign. From there, you can put our unique strategy to work for you to attract more potential buyers than you would have ever thought possible.

The appearance of the house is extremely important when it is on the market for sale. With each potential buyer who sees your home, you only have one chance to make a good first impression. You want to do everything you can to impress everyone who sees your home because anyone has the potential to become your buyer. So, step back and take a good, hard, objective look at your property. What kind of shape is it in? Imagine that you are a home buyer on a house-hunting trip and you are seeing your house for the very first time. What do you think? You need to decide how much time and money you can afford to invest into sprucing up your property.

When it is time to officially put the house on the market, you need to decide what the asking price is going to be. In order to make that decision, you need to know how much your house is worth, and at what price similar homes in your area are selling. Using our special strategy, you will be able to price and sell your home for maximum value. You will not have to reduce your price to attract potential buyers. Nor will you have to make any unnecessary concessions in order to close a sale. The offers will be pouring in—full price offers. You will select the best offer and close the sale. It really is that simple.

Once you have priced your property and put it on the market, you need to make sure that it gets plenty of exposure to as many potential buyers as possibe. The more exposure you generate for your house, the faster you are going to sell it. You need an aggressive marketing strategy to create a ‘buzz’ about your property. Armed with a full arsenal of marketing tools and techniques such as: lawn signs, classified ads, bulletin boards, posters, brochures, etc, you will launch your campaign to generate maximum exposure to attract hoards of potential buyers to your property like a magnet. Let’s not forget the power of the almighty Internet. With just a click of a button, your property can be listed in any nationwide database. This means that your property will be instantly accessible to every single house hunter out there.

Once you have generated a good amount of publicity for your property listing, you will have started to receive phone calls and perhaps a few visits from realtors who want to show the house to their clients. That is when it is time to hold your first open house.

Good planning and timing are important elements of a successful open house. Your property should be looking its absolute best whenever you have a showing. Aside from the appearance of the house, there are other preparations that need to be made before you invite the public in. Make sure that all of your promotional materials are on display in a prominent area where potential buyers can pick them up on their way in. Be prepared for any questions that you may be asked which are not answered on your flyers or brochures. You never know when a casual showing could turn into a contract for a sale. So, it is a good idea to have copies of forms and contracts on hand in case someone makes an offer on the spot.

The reason you will be bombarded with full price offers is simple; your property listing contains three magic words that will attract potential buyers to your property like a magnet. Those three magic words are the highlight of our special program. With our special program, you will not be limited to just at a narrow segment of the population as your pool of potential buyers. Instead, the unique strategy employed by this special program maximizes the exposure that you receive for your property. There are probably millions of people who would like to own their own home instead of paying rent to someone else. They do not own a home because they cannot afford a large down payment, or because they do not qualify for conventional financing. By using our special program, you will have expanded your pool of potential buyers infinitely. In other words, if you use our special program, just about anyone who wants to buy your home could probably do so.

Our program makes it easy and painless for just about anyone to buy and/or sell property fast. If you are a homeowner with a house for sale, this means that you do not have to worry about your house sitting on the market for a long time. Once you decide to follow our special program you will be confident in the knowledge that your house will sell quickly and easily. If you are an investor or a “flipper,” you will be able to move more properties and make more money in less time than you ever thought possible. With our program, your properties will sell fast and for top dollar. Realtors can use our program to sell more properties faster; and earn bigger commissions on each sale.

People who are selling property are not the only folks who can benefit from using this program. Buyers can benefit from the use of this program too. If you are trying to buy a property, this program can help. It will broaden the spectrum of the properties that you have to choose from; and it will make it quick and easy to buy the one that you want.

Now, I want to introduce you to our fictitious homeowners: Rick and Lisa Sellers. Mr. and Mrs. Sellers own a home in a nice (fictitious) suburb called Sellersville. Rick has a middle management position in a large corporation. Lisa put her career in advertising on hold to be a stay at home mom. They have two small children. When Rick is offered a lucrative job promotion, he and Lisa are ecstatic. It is a fantastic opportunity that will mean a lot more money and a greater standard of living. The job is located in California. The whole family is excited about moving and they can’t wait to go to California.

Rick’s company really wants him to relocate as quickly as possible so he can get settled into his new position. Rick and Lisa have already flown out to California on a week-long house-hunting trip. They found the house that they want to buy. Everything is happening so fast! They are hesitant to commit to any purchase deal because they still have to sell their house in Sellersville. Should they decide to proceed with the purchase of the new house in California now? What if the Sellersville house has not sold in time for the closing on their new home purchase? They cannot afford to get saddled with two mortgage payments.

John and Carol Neuhouse, the owners of the house that the Sellers want to buy are in a similar predicament. They are building a new house. The closing date for the purchase of the new house that they are building is set to occur in about three months. They don’t want to be stuck with two mortgages any more than Mr. and Mrs. Sellers do. So, the Neuhouses are in just as big a hurry to sell as the Sellers are.

This three month window of time makes Rick and Lisa hopeful that maybe this deal could work. They figure if they really work hard to aggressively sell, maybe they could have their house sold in three months time. Rick and Lisa need a foolproof plan to make sure that their house sells fast so that they do not get stuck with two mortgage payments.

We’ll have a bird’s eye view as Rick and Lisa make their foray into the process of selling their home instantly and for full price. You will be right there with them step by step through the entire process from the first day of cleaning and repairs straight through to the first open house. Experience first- hand how to prepare for and manage a showing. Learn to negotiate with potential buyers and prepare all of the necessary paperwork to sell your house instantly and for full price. Let’s follow along as Rick and Lisa Sellers begin their journey.




When Rick and Lisa decided to buy the Neuhouses’ home in California, the first thing they had to do was to make sure that their own house was in marketable condition and get it on the market as soon as possible. They went outside to get a curbside view. They took a good objective look at their property from the street so they could see what their potential buyers would see.

The Sellers’ property is actually in pretty good shape. The driveway was recently sealed. The sidewalks and the front porch are all free of any chips or cracks. “It’s not so bad,” Lisa said, “It just needs a little sprucing up.”

“Yeah,” Rick agreed, “We’ll just give the shrubs a good trimming and go over the flower beds a little bit. Do a little edging.”

“The windows could use a little cleaning,” Lisa said, “And maybe we could give the outside of the house a quick rinse, huh?”

“Sure, I’ve got a power washer in the garage. We can hustle and get this done over the weekend.”

When they went inside and looked around, Rick and Lisa realized that they really did not need to spend very much money to get their house in shape. A few hours of work is all it would take to get their house ready to be put on the market. All of the walls were painted in neutral colors. The carpets were very well maintained. The kitchen is very attractive and the appliances are all sleek and modern. “I don’t think we’ll have to spend a lot of money to get this house on the market,” said Rick, “We just need to do a little bit of clean- up work.”

“Yeah, we need to get rid of some of the clutter and junk we’ve got laying around. Rearrange the furniture and do a little spring cleaning. Maybe we can do a little touch-up painting here and there, nothing major.”

“I bet if we can get a couple of friends to come over and help us out, we can get everything done this weekend. What do you think?”

“I think we can do it. I’m going to go make a few calls and see who is available to help us out this weekend.”

“While you’re doing that, I’ll put together a quick checklist of everything we need to get done this weekend.”

The things that Rick listed on his weekend checklist are all of the things that you need to pay attention to before you put your house on the market. Do not waste a lot of time and money on any unnecessary repairs or renovations. You want to focus on making sure that your home is attractive and appealing to potential buyers. Your goal is to make sure that your home has curb appeal.

The term "Curb appeal" is commonly used in real estate to describe everything prospective buyers can see from the street that piques their interest enough to make them want to stop, come inside, and take a look. Improving curb appeal is critical to generating enough attention and exposure to attract plenty of potential buyers. While it does take time, it does not have to be difficult or expensive to get your house looking its absolute best to impress your potential home buyers. Just make sure that you keep two key words in mind: neat and neutral.

When preparing your home for the market, the general rule is to spend as little money as possible. Feel free to make relatively inexpensive upgrades to your home, such as replacing old beat-up door knobs and fixtures that look dated. Avoid undertaking major renovations like remodeling the kitchen or bathroom unless it is absolutely necessary. Make sure that you are confident that whatever work you are going to do will increase your profits. Whatever repairs or upgrades you do undertake, be certain that you are not overcapitalizing the property. In other words, do not spend more money on the renovation than you are likely to profit from the sale itself.

It is a good idea to seek professional input about any major changes that you plan to make. That way, you can be certain that your proposed changes will add value to your property. It would be an utter waste of time and money to construct a new fence or to build a deck in the backyard if it will not increase your resale value.

Neatness sells. It is the basic details that make your property look fresh and sharp. Make sure that your home’s exterior is bright and clean. Rick started by power washing the exterior to remove built up dirt and grime. Power washing is a quick and easy way to brighten up your home’s exterior to make it look new again. If the paint and siding are in good condition, power washing is also a cheap way to avoid spending money on painting. To complement the bright, clean house, Rick and Lisa went to work on the front lawn. They already have a pretty good looking lawn that was professionally landscaped a few years ago. Everything just needed to be sharpened up. The lawn needed to be cut, raked and edged. The shrubs were trimmed, and fresh mulch was added to the beds. The driveway had already been resealed a few months ago. When they were finished, they had an immaculate lawn, picture-perfect shrubbery, a newly sealed driveway, and potted plants at the front door. When you put all of those attributes together, you have quite an impressive package, and drive-by shoppers will certainly take notice. They will probably want to stop and come in to see the rest of the house.